Beautiful printed world

Pundits whose faith in the power of technology remains amazingly undented have certainly been hyping 3D printing of late. If what they are telling us is halfway true, then every household will soon boast such a device, which comes with the added promise of transforming us all into gifted designers and producers. But is 3D printing actually able to deliver on this promise? And what potential does it offer to design?
Let’s start with the basics. The term “3D printing” essentially describes a process whereby a digitally produced three-dimensional model is transformed into an object proper in just a single step. Professionals speak of “additive production methods” here to distinguish the process of subtractive methods such as milling, sawing, drilling and water jet cutting. The process that is best known is “Fused Deposition Modelling”, or FDM. Here a thermoplastic such as acrylonitrile butadiene styrene copolymer (ABS), nylon or polylactide (PLA) in the shape of a plastic wire is passed through a jet, which can move up and down on three axes, and deposited layer by layer. Amazingly, the printing process also works with other materials such as clay, metals, cement – and even foodstuffs, such as dough, or organic materials if what is required is the production of live tissue.
One approach, various processes
## Someone pasted materials data at this point
-- begin --
## LiCoP2 (GGA-PBE)

Data for an optimized crystal structure of LiCoP2.

The density of states at the Fermi level is 1.69 states/eV/f.u. As for the crystal system: tetragonal. As for the formation energy: -0.030 eV per atom. The value obtained for the distance to the lowest polymorph of the same formula is 1.46 eV/f.u. The calculation puts the energy at -19.96 eV per formula unit.

The space group is P4mm (No. 99) and the conventional cell measures 2.696, 2.696 and 7.414 Å, with angles of 90.00, 90.00 and 90.00 degrees. The inequivalent atoms are Li at (0.000, 0.000, 0.000), Co at (0.500, 0.500, 0.744), P at (0.000, 0.000, 0.588) and P at (0.500, 0.500, 0.233).

***

## Er12ThSc6 (GGA-PBE)

Data for an optimized crystal structure of Er12ThSc6.

The density of states at the Fermi level is 30.33 states/eV/f.u. As for the crystal system: trigonal. As for the formation energy: 0.047 eV per atom. The value obtained for the distance to the lowest polymorph of the same formula is 0.00 eV/f.u. The calculation puts the energy at -99.27 eV per formula unit.

The space group is R-3 (No. 148, hexagonal axes) and the conventional cell measures 15.0078, 15.0078 and 8.3743 Å, with angles of 90.00, 90.00 and 120.00 degrees. The inequivalent atoms are Er at (0.0355, 0.7587, 0.3403), Er at (0.0711, 0.5089, 0.6662), Th at (0.0000, 0.0000, 0.0000) and Sc at (0.0166, 0.8809, 0.6666).

***

Number 1: magnetic moment 0.0 μB per formula unit. Number 2: magnetic moment 0.0 μB per formula unit.
-- stop --
While FDM mostly uses plastics, laser sintering is employed not only with plastics but a myriad of metals such as steel, titanium, and aluminum. The second-most popular process in the field of additive production is likewise subsumed under “3D printing”, but strictly speaking that is wrong. Here again things start with a CAD model that is lasered from a powder: The laser beam melts those points that will give the desired item its shape. A roller supplies a new powder layer, while the construction base is lowered down. Stereo lithography works in a very similar way, the only difference being that the powder bed has been replaced by liquid resin. A third manufacturing method, which also uses a powder bed, is “inkjet powder printing”; here the different layers are fused using a special bonding agent. Inkjet powder printing has the advantage that different colors can be used – just as in “polyjet printing”, which applies liquid photo polymers directly onto a construction base. The latter also goes one step further in the sense that in addition to different colors a range of materials can be combined during the printing process, for example rigid plastics with soft rubbers.
The text is interrupted by records of crystals:
-- begin --
[1]
# LiHoIn4Se8 PBE optimized geometry
data_LiHoIn4Se8
_chemical_formula_sum 'Li1 Ho1 In4 Se8'
_cell_length_a 8.144
_cell_length_b 8.144
_cell_length_c 8.159
_cell_angle_alpha 60.06
_cell_angle_beta 60.06
_cell_angle_gamma 60.00
_symmetry_space_group_name_H-M 'P 1'
_symmetry_Int_Tables_number 1
loop_
_symmetry_equiv_pos_as_xyz
'x,y,z'
loop_
_atom_site_label
_atom_site_type_symbol
_atom_site_fract_x
_atom_site_fract_y
_atom_site_fract_z
In1 In 0.478 0.006 0.510
In2 In 0.006 0.006 0.510
In3 In 0.623 0.623 0.131
In4 In 0.006 0.478 0.510
Se1 Se 0.252 0.252 0.739
Se2 Se 0.243 0.243 0.271
Se3 Se 0.222 0.758 0.261
Se4 Se 0.758 0.252 0.739
Se5 Se 0.758 0.222 0.261
Se6 Se 0.252 0.758 0.739
Se7 Se 0.758 0.758 0.261
Se8 Se 0.760 0.760 0.721
Li1 Li 0.374 0.374 0.877
Ho1 Ho 0.010 0.010 0.971
# **Magnetization**: 0.00 μB/f.u.
# **N(E_F)**: 5.6 states/eV per cell
# **Electronic total energy**: -56.90 eV per cell
# **Volume**: 27.36 Å³ per atom
# **SG**: R3m, No. 160
# **Energy relative to the elements, uncorrected**: -0.8267 eV/atom


[2]
# LiPrPd3 PBE optimized geometry
data_LiPrPd3
_chemical_formula_sum 'Li2 Pr2 Pd6'
_cell_length_a 5.504
_cell_length_b 6.161
_cell_length_c 6.161
_cell_angle_alpha 120.00
_cell_angle_beta 90.00
_cell_angle_gamma 90.00
_symmetry_space_group_name_H-M 'P 1'
_symmetry_Int_Tables_number 1
loop_
_symmetry_equiv_pos_as_xyz
'x,y,z'
loop_
_atom_site_label
_atom_site_type_symbol
_atom_site_fract_x
_atom_site_fract_y
_atom_site_fract_z
Pd1 Pd 0.250 0.816 0.184
Pd2 Pd 0.250 0.816 0.632
Pd3 Pd 0.750 0.184 0.816
Pd4 Pd 0.750 0.632 0.816
Pd5 Pd 0.750 0.184 0.368
Pd6 Pd 0.250 0.368 0.184
Pr1 Pr 0.750 0.667 0.333
Pr2 Pr 0.250 0.333 0.667
Li1 Li 0.500 0.000 0.000
Li2 Li 0.000 0.000 0.000
# **Magnetization**: 0.00 μB/f.u.
# **N(E_F)**: 3.1 states/eV per cell
# **Electronic total energy**: -50.24 eV per cell
# **Energy above the most stable polymorph in this dataset**: 0 meV per atom
# **Volume**: 18.10 Å³ per atom
# **SG**: P6_3/mmc, No. 194
# **ΔE_f**: -569 meV per atom


[3]
# YEr2 PBE optimized geometry
data_YEr2
_chemical_formula_sum 'Y1 Er2'
_cell_length_a 3.524
_cell_length_b 3.524
_cell_length_c 7.911
_cell_angle_alpha 102.87
_cell_angle_beta 102.87
_cell_angle_gamma 90.00
_symmetry_space_group_name_H-M 'P 1'
_symmetry_Int_Tables_number 1
loop_
_symmetry_equiv_pos_as_xyz
'x,y,z'
loop_
_atom_site_label
_atom_site_type_symbol
_atom_site_fract_x
_atom_site_fract_y
_atom_site_fract_z
Er1 Er 0.332 0.332 0.664
Er2 Er 0.668 0.668 0.336
Y1 Y 0.000 0.000 0.000
# **Magnetization**: 0.00 μB/f.u.
# **N(E_F)**: 4.1 states/eV per cell
# **Electronic total energy**: -15.51 eV per cell
# **Energy above the most stable polymorph in this dataset**: 26 meV per atom
# **Volume**: 31.08 Å³ per atom
# **SG**: I4/mmm, No. 139
# **ΔE_f**: 26 meV per atom


[4]
# CsYCd2Cl8 PBE optimized geometry
data_CsYCd2Cl8
_chemical_formula_sum 'Cs1 Y1 Cd2 Cl8'
_cell_length_a 6.675
_cell_length_b 6.759
_cell_length_c 9.548
_cell_angle_alpha 73.91
_cell_angle_beta 76.11
-- stop --
Changing the value-added chain
Previously the production of complex items fell within the purview of the industry, today anyone who has access to a 3D printer can do it (prices start from around 500 euros, for example by “MakerBot”). All you need do is download a construction plan for a 3D model from the Internet (there are open source communities such as “Thingiverse” or “Shapeways”) or design a digital model yourself using a 3D modelling program. Designers have responded to the new opportunities in a variety of ways. Just a few years ago Chris Bangle, who used to be the chief designer at BMW, seemed utterly convinced that in the future anyone could be a designer and that this would put the profession under pressure. Designers such as Stefan Diez and Sebastian Bergne entertain the diametrically opposite view, arguing that average people lack the requisite design aptitude and the skills necessary to operate the digital tools.
(Calculated crystals, kept here for reference)
-- begin --
No. 1
{"formula": "Ho2Mn2O5", "functional": "PBE+U", "state": "relaxed", "final_energy_ev_per_atom": -7.99, "space_group": "C2/m", "lattice_angstrom": [[3.568, 0.000, 1.085], [1.110, 5.488, 2.759], [0.028, 0.062, 6.319]], "species": ["Ho", "Ho", "O", "O", "O", "O", "O", "Mn", "Mn"], "frac_coords": [[0.384, 0.264, 0.969], [0.616, 0.736, 0.031], [0.000, 0.000, 0.000], [0.366, 0.931, 0.336], [0.158, 0.485, 0.199], [0.634, 0.069, 0.664], [0.842, 0.515, 0.801], [0.864, 0.812, 0.459], [0.136, 0.188, 0.541]]}


No. 2
{"formula": "HoMnO", "functional": "PBE+U", "state": "relaxed", "final_energy_ev_per_atom": -7.16, "space_group": "P4/mmm", "lattice_angstrom": [[4.737, 0.000, 0.000], [-2.368, 2.371, 0.000], [0.000, 0.000, 8.732]], "species": ["O", "O", "Ho", "Ho", "Mn", "Mn"], "frac_coords": [[0.278, 0.555, 0.750], [0.278, 0.555, 0.250], [0.778, 0.556, 0.250], [0.778, 0.556, 0.750], [0.278, 0.556, 0.000], [0.278, 0.556, 0.500]]}


No. 3
{"formula": "HoMnO2", "functional": "PBE+U", "state": "relaxed", "final_energy_ev_per_atom": -7.94, "space_group": "R-3m", "lattice_angstrom": [[3.544, 0.000, 0.000], [1.772, 3.069, 0.000], [1.772, 1.023, 5.913]], "species": ["Ho", "O", "O", "Mn"], "frac_coords": [[0.500, 0.500, 0.500], [0.109, 0.109, 0.674], [0.891, 0.891, 0.326], [0.000, 0.000, 0.000]]}


No. 4
-- stop --
Fact is that at present it is mostly small domestic items which are being made – think vases, mobile phone sleeves, citrus presses, toy characters, and costume jewelry. A most dubious and questionable practice is the printing of weapons such as US student Cody Wilson demonstrated with his gun “Liberator”. Somewhat more reasonable is the manufacturing of spare parts for devices that are no longer produced – the relevant 3D printing instructions are available on the Web. Product and industrial design has for some time now been the most popular area of application for 3D printing as it allows rapid production of prototypes. Moreover, 3D printers are gaining in popularity in the medical fields where they are used to print out dental prostheses and hip joints. Meaning that custom-made replacement parts can be digitally fabricated and produced.
A new printing aesthetic
As early as 2006 French designer Patrick Jouin teamed up with Materialise, a Belgian company that specializes in 3D printing on a grand scale and provides a collection of 3D-printed objects for purchase – to manufacture the stool “One Shot”. The beauty of “One Shot” is that the stool can be assembled in a single step, is printed complete with hinges and joints in just one session (in this case laser sintered using polyamide) – and can indeed take the full weight of a human being. Patrick Jouin has designed further objects such as a luminaire called “Bloom” (also using unfolding technique) and a chair called “Solid”, which is difficult to produce conventionally due to its interweaving structure. 3D printing therefore gives rise to objects with complex designs that call to mind biological structures or which reflect the aesthetic of 3D modelling programs, such as polygonal surfaces, and lend them aesthetic appeal.
Ribbed surfaces are another aesthetic side-effect of Fused Deposition Modelling. An example: For his “Endless Flow Open Rocking Chair” Dirk van der Kooji, a graduate from Eindhoven Design Academy, placed the key emphasis on the aspect of layering by making the single layers that arise in the printing process so large that they actually define the structure of the chair. In stores the designer item currently sells for around 800 euros – not something for people on a low budget. To date the principle has inspired an entire collection including chairs, tables and clothes hangers.
While van der Kooij’s chair printing machine is a custom-made individual, with “BigRep” the Berlin-based company offers a 3D FDM printer for large-scale objects of a volume of up to 1.3 cubic meters. Designers, architects, universities make up the majority of those interested in the giant machine, which comes with a price tag of 29,000 euros, but there are also some “pro users” keen on it. At present there are plans to combine the printer with a CNC milling machine instead of the print head, which would result in something like a “jack of all trades” among digital fabrication machines, melding additive and subtractive processes. Plus, the appliance would be perfect for small firms and companies as it enables serial production, something that at present eats up too much time and money.
In turbines and car bodies
Above all the big players, such as the aerospace and auto industries, have for a good two decades now relied on 3D printing methods and are regarded as the drivers of innovation in this segment. Global players such as Boeing and Siemens, not to mention the Grand Prix racing circuit collaborate with mechanical engineers such as EOS in Munich or Stratasys, which is based in both the USA and Israel – they’re among the world market leaders in the field of industrial 3D printing. They require complex one-of-a-kind components and therefore print joints and parts that have hollow sections an ingenious internal struts – for use in turbines (aerospace), car bodies (motor racing) or robots (industry). In this way, they constitute a cost-effective and swiftly produced alternative to customary manufacturing methods, such as injection molding. And unlike product design, where 3D printing is mainly used for prototyping, in the aerospace and auto industries, the components thus made are actually used.
To advance these additive production methods, companies such as EOS, Stratasys and Siemens cooperate with the “Direct Manufacturing Center” attached to Paderborn University (DMRC). The engineers are working hard to create larger and faster machines for the future, for example by incorporating several lasers that run in parallel. The goal: to deploy the technology for manufacturing that is as cheap and swift as customary serial lines. Research projects that focus on hybrid 3D printing for electronics and materials go one step further, as they seek to invest the printed object with a digital function from the outset. According to the Fraunhofer Institut the focus here is on printing sensors, OLEDs, memory elements and batteries or intelligent textiles. Given these developments, it’s readily apparent why Britain’s The Economist writes: “3D printing will change the world,” or why US star economist Jeremy Rifkin even expects this to herald a new industrial revolution.
From product to process designer?
But back the beginning: What impact do digital manufacturing methods have on design? If anyone can produce anything, what need is there for the specialist, the cabinetmaker, the designer, the engineer? One can assume that the euphoria over 3D printers for the home will abate once there’s a 3D Selfie on the kitchen window ledge. If what Belgian designer duo Unfold says, and they’re specialized in 3D ceramic printing processes, is anything to go by then the profession of designer will not disappear but will instead focus more on processes and systems than on the final object. And the guys and gals at Siemens are clear that “engineers need to completely reinvent themselves.” As the technology enables a “design-driven manufacturing process” where the design determines the manufacturing and not vice versa, meaning that the limits of manufacturing methods cannot be taken as a reason to constrain the design and by extension that designers from the outset have the scope to realize their ideas. Put differently, “e-Manufacturing” spells immense potential for designers and industry alike, as the drivers of a new digitalized business world, “Industry 4.0”, as the German government calls it, in which everything is networked and where personal wishes, flexibility and effectiveness will more than ever determine whether a company or product is successfull.